In Need Of Encouragement


I had a baby 12 weeks ago (my second) and really need encouragement to lose weight.

I have a BMI of 38 so I know I really need to lose weight. I have a hip problem which isnt being helped by my size. I have started doing zumba and dance on the xbox and going for walks. Im getting married in november and really want to look better than I do now. I know that I have a problem with fizzy pop. The diet stuff makes me feel ill but I really am addicted to the stuff (I have to have at least 2 cans a day, its in my head). Ive tried help to slim programs and because I dont cook for myself (My other half does the cooking) I was always being told off. I have a problem with textures (like beans, I really dont like them).

So im hoping to make some new friends here that maybe will help me with my goal... I know I wont get to the weight I want by my wedding (7st) but I can at least get on my way.



  • Robin_Bin
    Robin_Bin Posts: 1,046 Member
    Congratulations on the baby! Best wishes on your goals -- although you might want to think also about being healthy for the rest of your life, not just the wedding. :smile:

    Here are some suggestions I've collected over time for using MFP: and more specific to your concern about "fizzy" stuff:

........
Here is a relaxed structure of Tl2GeTe5 from Materials Project. Energies are from r²SCAN.

Cell: 8.449 8.449 15.063 Å, 90.00 90.00 90.00°
Sites, in units of the cell vectors:
Tl: 0.000 0.000 0.121
Tl: 0.000 0.000 0.378
Tl: 0.000 0.000 0.622
Tl: 0.000 0.000 0.879
Tl: 0.500 0.500 0.121
Tl: 0.500 0.500 0.378
Tl: 0.500 0.500 0.622
Tl: 0.500 0.500 0.879
Ge: 0.000 0.500 0.118
Ge: 0.000 0.500 0.882
Ge: 0.500 0.000 0.118
Ge: 0.500 0.000 0.882
Te: 0.000 0.500 0.372
Te: 0.000 0.500 0.628
Te: 0.165 0.335 0.000
Te: 0.177 0.677 0.219
Te: 0.177 0.677 0.781
Te: 0.186 0.686 0.500
Te: 0.314 0.186 0.500
Te: 0.323 0.177 0.219
Te: 0.323 0.177 0.781
Te: 0.335 0.835 0.000
Te: 0.500 0.000 0.372
Te: 0.500 0.000 0.628
Te: 0.665 0.165 0.000
Te: 0.677 0.823 0.219
Te: 0.677 0.823 0.781
Te: 0.686 0.814 0.500
Te: 0.814 0.314 0.500
Te: 0.823 0.323 0.219
Te: 0.823 0.323 0.781
Te: 0.835 0.665 0.000

Properties
Mass density, g cm⁻³: 6.92
Volume, Å³ per atom: 33.60
DFT formation energy, eV/atom: -0.196
Space-group type: P4/mbm, No. 127

---

Here is a relaxed structure of Tl3GeTe3 from Materials Project. Energies are from r²SCAN.

Cell: 9.706 9.895 10.633 Å, 89.44 82.97 79.24°
Sites, in units of the cell vectors:
Tl: 0.011 0.375 0.350
Tl: 0.142 0.227 0.911
Tl: 0.189 0.717 0.239
Tl: 0.312 0.842 0.839
Tl: 0.387 0.047 0.350
Tl: 0.403 0.428 0.658
Tl: 0.597 0.572 0.342
Tl: 0.613 0.953 0.650
Tl: 0.688 0.158 0.161
Tl: 0.811 0.283 0.761
Tl: 0.858 0.773 0.089
Tl: 0.989 0.625 0.650
Ge: 0.076 0.984 0.585
Ge: 0.409 0.428 0.017
Ge: 0.591 0.572 0.983
Ge: 0.924 0.016 0.415
Te: 0.077 0.067 0.210
Te: 0.175 0.211 0.591
Te: 0.189 0.559 0.921
Te: 0.282 0.777 0.527
Te: 0.369 0.385 0.258
Te: 0.497 0.201 0.890
Te: 0.503 0.799 0.110
Te: 0.631 0.615 0.742
Te: 0.718 0.223 0.473
Te: 0.811 0.441 0.079
Te: 0.825 0.789 0.409
Te: 0.923 0.933 0.790

Properties
Mass density, g cm⁻³: 7.13
Volume, Å³ per atom: 35.56
DFT formation energy, eV/atom: -0.312
Space-group type: P-1, No. 2

---

Here is a relaxed structure of ThGe2 from Materials Project. Energies are from r²SCAN.

Cell: 8.699 8.699 4.148 Å, 90.00 90.00 153.31°
Sites, in units of the cell vectors:
Th: 0.137 0.863 0.000
Th: 0.863 0.137 0.000
Ge: 0.000 0.000 0.500
Ge: 0.296 0.704 0.500
Ge: 0.500 0.500 0.000
Ge: 0.704 0.296 0.500

Properties
Mass density, g cm⁻³: 8.89
Volume, Å³ per atom: 23.50
DFT formation energy, eV/atom: -0.678
Space-group type: Cmmm, No. 65

---

Here is a relaxed structure of Th3Ge2 from Materials Project. Energies are from r²SCAN.

Cell: 7.995 7.995 4.163 Å, 90.00 90.00 90.00°
Sites, in units of the cell vectors:
Th: 0.000 0.000 0.000
Th: 0.178 0.322 0.500
Th: 0.322 0.822 0.500
Th: 0.500 0.500 0.000
Th: 0.678 0.178 0.500
Th: 0.822 0.678 0.500
Ge: 0.120 0.620 0.000
Ge: 0.380 0.120 0.000
Ge: 0.620 0.880 0.000
Ge: 0.880 0.380 0.000

Properties
Mass density, g cm⁻³: 10.50
Volume, Å³ per atom: 26.61
DFT formation energy, eV/atom: -0.755
Space-group type: P4/mbm, No. 127

---
........

    I also notice textures in food -- and really like some and dislike others. Don't worry; there are plenty of different healthy foods with many different textures, and food can be prepared in different ways to make it more palatable. (Although yes, that may mean you have to make some of your own food or find different sources. Is your other half willing to be supportive and make some adjustments? There are some great ideas on the recipe message board.)
  • DefinatelyDead
    Yes the other half has started counting calories in the food he cooks for me. Hes usually against diets as hes a chocoholic who never seems to put on weight no matter what he eats. Im glad im not the only person who notices textures. I do find it hard to eat some foods. I tried gluten free bread once and vowed never again but I also have a problem with wholegrain breads as they have 'bits' in them. I do find this a hard thing with dieting as wholegrains are what most suggest.
  • Robin_Bin
    Robin_Bin Posts: 1,046 Member
    Dark chocolate is good for you. :happy: Unfortunately, it's only in moderation and without many of the frequently attending foods. I almost always have room in my calories for 1 small, dark chocolate truffle (depending on the kind 50-75 calories) at the end of my day. At first I had one almost every day, but now I find that I don't always want it.

    "Whole" grains can be ground up to fine flour... it doesn't have to have "bits" in it -- although personally I like them. It's the fact that the grains aren't polished or healthy parts removed that makes them "whole" instead of "partial". For me, one key has been fiber. It's been surprising to me that some things I really like (avocado, berries, dark chocolate) have more fiber than some things that I thought.

    In general there's enough good tasting and healthy foods out there that my feeling is that if I don't like it, why waste my "calorie budget" on it? It sounds easy to expand your "food repertoire", but for me it took some research and exploration so it isn't as easy as it sounds. On the other hand, now I found things I enjoy more than what I used to eat. They are often more satisfying as well as healthier. Experiment with spices too. For instance, did you know that cinnamon has been found to help your body regulate sugar? There's lots of good information and recipes here on this site. (Although keep an eye out for the fads with poor scientific backing.) Another place for information on food is The World's Healthiest Foods ( or some other nutrition sites listed in my blog.

    You've already done the hardest things... deciding to change and taking an initial action. Congratulations!
  • athjd07
    athjd07 Posts: 2 Member
    Hi ya!

    I need to lose a lot of weight >100lbs. I love fizzy drinks - and found that it's the fizz more than the flavor. So I started drinking club soda and seltzer water. I have arthritis in both knees and achilles tendinitis, so I do a lot of exercise sitting down. I fond some great free exercise videos on You Tube. I won't give up! You shouldn't either.
  • jrhodo
    jrhodo Posts: 43 Member
    My solution to the fizzy drinks is a Sodastream. I have two 1 litter bottles that I keep in the frig. One is always carbonated from the machine and the other one is ready with cold water. Makes drinking water so much better!!! I always have carbonated water so I don't miss pop.